Coptera silvestrii (Kieffer)
See Coptera genus page for additional information.
Taxonomic History / Nomenclature
-- Data records, kept here for reference --
********
The following is a theoretical powder XRD pattern of Re2OsSe4Cl2. It was derived from the GGA-PBE geometry in the Materials Project, using a wavelength of 1.5418 Å.

Most intense lines, 2θ = 10–90°, sorted by position:
2theta  intensity
11.48  95
12.66  63
13.13  100
13.61  40
14.60  25
39.57  18
42.02  10
44.79  11
45.59  12
46.00  12

Cell and atoms:
Lattice parameters (Å, degrees): 9.076 9.087 12.177 85.21 88.14 63.38
Atoms (fractional coordinates):
1 Re 0.082 0.327 0.409
2 Re 0.151 0.368 0.609
3 Re 0.327 0.989 0.928
4 Re 0.377 0.039 0.130
5 Re 0.623 0.961 0.870
6 Re 0.673 0.011 0.072
7 Re 0.849 0.632 0.391
8 Re 0.918 0.673 0.591
9 Os 0.155 0.571 0.441
10 Os 0.406 0.231 0.963
11 Os 0.594 0.769 0.037
12 Os 0.845 0.429 0.559
13 Se 0.074 0.139 0.573
14 Se 0.078 0.530 0.252
15 Se 0.132 0.245 0.021
16 Se 0.213 0.609 0.634
17 Se 0.310 0.806 0.090
18 Se 0.360 0.176 0.770
19 Se 0.371 0.275 0.462
20 Se 0.459 0.266 0.157
21 Se 0.541 0.734 0.843
22 Se 0.629 0.725 0.538
23 Se 0.640 0.824 0.230
24 Se 0.690 0.194 0.910
25 Se 0.787 0.391 0.366
26 Se 0.868 0.755 0.979
27 Se 0.922 0.470 0.748
28 Se 0.926 0.861 0.427
29 Cl 0.109 0.971 0.838
30 Cl 0.200 0.081 0.298
31 Cl 0.292 0.520 0.916
32 Cl 0.354 0.654 0.368
33 Cl 0.646 0.346 0.632
34 Cl 0.708 0.480 0.084
35 Cl 0.800 0.919 0.702
36 Cl 0.891 0.029 0.162
********
Galesus (Schizogalesus) silvestrii Kieffer, 1913: 91. Original description.
Galesus silvestrii: Silvestri 1913: 123. Redescription.
# Materials data, kept here for reference
~~~
The following is a theoretical X-ray powder pattern of Na2ZrCoP4O14. It was derived from a GGA+U-relaxed structure, using Cu Kα, 1.54184 Å.
Intensities are scaled so that the largest is 100.

Cell and atoms:
```
Na2ZrCoP4O14
1.0
6.611 0.000 0.000
0.929 6.560 0.000
2.863 0.168 6.438
Na Zr Co P O
2 1 1 4 14
direct
0.000 0.000 0.000
0.386 0.302 0.713
0.603 0.530 0.089
0.789 0.851 0.629
0.037 0.569 0.231
0.331 0.809 0.532
0.457 0.046 0.122
0.896 0.321 0.638
0.045 0.406 0.408
0.055 0.244 0.736
0.088 0.794 0.674
0.284 0.566 0.079
0.295 0.117 0.027
0.324 0.986 0.360
0.443 0.612 0.402
0.469 0.870 0.640
0.599 0.214 0.125
0.624 0.854 0.018
0.735 0.515 0.753
0.757 0.168 0.613
0.904 0.492 0.122
0.935 0.778 0.321
```

Most intense lines, 2θ = 5–70°, by angle:
2theta	d/Å	I/Imax	hkl
13.50	6.558	35	0 1 0
14.77	5.999	34	1 0 0
15.65	5.662	100	1 0 1
19.57	4.536	70	0 1 -1
27.32	3.264	78	2 0 1
27.71	3.219	93	0 0 2
28.31	3.152	45	-1 1 1
28.77	3.103	76	2 1 1
30.27	2.953	91	0 2 1
30.93	2.892	92	0 2 -1

~~~~~

Na5B8C2: calculated powder X-ray diffraction pattern (Cu Kα, 1.54184 Å), based on a crystal structure in Alexandria, relaxed with PBE.
Lines closer than 0.1° are merged.

The 10 most intense peaks (2θ = 10–90°), by intensity:
d [Å]  Position (°2θ)  Rel. int.  hkl
2.158  41.9  100  1 -2 2
2.254  40.0  50  2 1 3
2.169  41.6  38  0 0 4
1.493  62.2  18  3 4 2
1.230  77.7  17  3 4 6
2.487  36.1  17  1 3 1
2.639  34.0  13  2 1 1
1.250  76.1  13  1 -2 6
1.410  66.3  10  0 5 1
1.635  56.3  10  1 3 5

Atomic structure:
```
data_Na5B8C2
_chemical_formula_sum 'Na10 B16 C4'
_cell_length_a 5.2776
_cell_length_b 7.5266
_cell_length_c 9.1762
_cell_angle_alpha 75.84
_cell_angle_beta 73.32
_cell_angle_gamma 69.50
_space_group_name_H-M_alt 'P -1'
_space_group_IT_number 2
_space_group_name_Hall '-P 1'
loop_
_atom_site_label
_atom_site_type_symbol
_atom_site_fract_x
_atom_site_fract_y
_atom_site_fract_z
_atom_site_occupancy
Na1 Na 0.0000 0.0000 0.0000 1
Na2 Na 0.0000 0.5000 0.5000 1
Na3 Na 0.2001 0.1003 0.4997 1
Na4 Na 0.2048 0.6011 0.9969 1
Na5 Na 0.3991 0.7010 0.5005 1
Na6 Na 0.4005 0.1987 0.0037 1
B1 B 0.0503 0.8398 0.7500 1
B2 B 0.0631 0.3594 0.2498 1
B3 B 0.1269 0.2596 0.7497 1
B4 B 0.2319 0.9419 0.2501 1
B5 B 0.2524 0.4485 0.7497 1
B6 B 0.3751 0.8428 0.7503 1
B7 B 0.4199 0.5503 0.2498 1
B8 B 0.4400 0.0612 0.7501 1
C1 C 0.1653 0.7461 0.2502 1
C2 C 0.3616 0.3542 0.2491 1
```

~~~~~

This entry pairs a crystal structure of Be2As2Au with its simulated X-ray powder pattern. Radiation: Cu Kα (weighted mean of Kα1 and Kα2). Structure: DFT lattice parameters and positions (PBE).
Lines closer than 0.1° are merged.

Most intense lines, 5° ≤ 2θ ≤ 70°, sorted by position:
- 20.50 deg, intensity 35
- 30.18 deg, intensity 51
- 30.49 deg, intensity 100
- 37.44 deg, intensity 63
- 44.63 deg, intensity 38
- 45.46 deg, intensity 36
- 48.82 deg, intensity 31
- 69.81 deg, intensity 20

Cell and atoms:
a b c (Å): 8.688 6.715 6.304
angles (deg): 83.67 50.18 46.15
Fractional positions:
~~~
Galesus silvestrii: Silvestri 1914: 116. English translation of Silvestri (1913).
Galesus silvestrii: Kieffer 1916: 204. Keyed; 225. Redescription.
Galesus silvestrii: Nixon 1930: 401, 402, 411. Redescription, keyed.
Galesus silvestrii: Risbec 1950: 534, 535, 540. Variation, keyed.
Galesus silvestrii: Risbec 1953: 550. Diagnosis, variation.
Galesus silvestrii: Risbec 1954: 542. Keyed.
Psilus silvestrii: Masner 1965: 38. Type information, generic transfer.
Psilus silvestrii: Sundholm 1970: 325. Variation.
Coptera silvestrii: Johnson 1992: 153. Cataloged.
Galesus silvestrii: Silvestri 1913: 123. Redescription.
Galesus silvestrii: Silvestri 1914: 116. English translation of Silvestri (1913).
Galesus silvestrii: Kieffer 1916: 204. Keyed; 225. Redescription.
Galesus silvestrii: Nixon 1930: 401, 402, 411. Redescription, keyed.
What comes next are data records, not part of the article >
'''
For BaGaNi, a GGA-PBE-relaxed structure gives the calculated powder XRD pattern in this record (Cu Kα (weighted mean of Kα1 and Kα2)).
Lines closer than 0.1° are merged.

```
BaGaNi
1.0
6.056 0.000 0.000
0.000 6.550 0.000
-0.629 0.000 8.526
Ba Ga Ni
4 4 4
direct
0.239 0.000 0.293 Ba
0.261 0.500 0.707 Ba
0.739 0.500 0.293 Ba
0.761 0.000 0.707 Ba
0.209 0.500 0.105 Ga
0.291 0.000 0.895 Ga
0.709 0.000 0.105 Ga
0.791 0.500 0.895 Ga
0.000 0.202 0.000 Ni
0.000 0.798 0.000 Ni
0.500 0.298 0.000 Ni
0.500 0.702 0.000 Ni
```

Top 8 peaks for 10 to 80 degrees two-theta, in order of rising 2θ:
(0 0 1), 10.38 deg, I = 100; (1 1 -1), 22.07 deg, I = 33; (0 2 0), 27.23 deg, I = 31; (1 1 -2), 28.23 deg, I = 41; (1 1 2), 29.83 deg, I = 44; (0 2 2), 34.54 deg, I = 32; (1 1 3), 38.53 deg, I = 38; (2 2 0), 40.64 deg, I = 56

~~~~~

(1)
For Rb2Tm2BiS6, a crystal structure in Alexandria, relaxed with PBE gives the simulated powder diffraction line list in this record (Cu Kα (weighted mean of Kα1 and Kα2)).
Intensities are scaled so that the largest is 100.

Atomic structure:
```
11
Lattice="3.4421 -5.9864 0.0000 3.4421 5.9864 0.0000 -2.2623 0.0000 7.9352" Properties=species:S:1:pos:R:3 pbc="T T T"
Rb 3.4421 4.0030 0.0000
Rb 3.4421 -4.0030 0.0000
Tm 2.3109 1.9993 3.9676
Tm 2.3109 -1.9993 3.9676
Bi -1.1312 0.0000 3.9676
S 0.0327 2.0314 5.4582
S 1.1942 0.0000 2.4755
S 0.0327 -2.0314 5.4582
S 4.5892 2.0314 2.4770
S 3.4277 0.0000 5.4597
S 4.5892 -2.0314 2.4770
```

Most intense lines, 10° ≤ 2θ ≤ 90°, in order of rising 2θ:
2theta, I (rel.)
11.15, 100
22.41, 33
26.07, 16
26.91, 53
29.89, 81
30.04, 40
37.07, 17
40.02, 47
45.60, 26
55.47, 21

(2)
For Rb3BiSb2, a crystal structure in Alexandria, relaxed with PBE gives the simulated powder diffraction line list in this record (Cu Kα (weighted mean of Kα1 and Kα2)).
Intensities are scaled so that the largest is 100.

Atomic structure:
```
24
Lattice="8.9858 0.0000 0.0000 0.0000 11.1239 0.0000 -2.0941 0.0000 10.9348" Properties=species:S:1:pos:R:3 pbc="T T T"
Rb 0.2334 1.2762 4.9288
Rb -0.8137 4.2858 10.3962
Rb 1.8034 0.8275 1.2463
Rb 0.7563 4.7344 6.7137
Rb 1.7295 7.9430 3.7992
Rb 0.6825 8.7428 9.2666
Rb 6.2092 2.3811 1.6682
Rb 5.1622 3.1808 7.1356
Rb 6.1354 6.3895 4.2211
Rb 5.0884 10.2964 9.6885
Rb 7.7054 6.8381 0.5386
Rb 6.6583 9.8477 6.0060
Bi 1.9671 1.4133 8.6054
Bi 3.0142 4.1486 3.1380
Bi 3.8776 6.9753 7.7967
Bi 4.9246 9.7106 2.3293
Sb -0.9226 1.1215 8.5226
Sb 0.1245 4.4404 3.0552
Sb 3.8788 6.2546 1.1089
Sb 2.8318 10.4312 6.5762
Sb 4.0599 0.6927 4.3585
Sb 3.0129 4.8692 9.8259
Sb 6.7673 6.6835 7.8796
Sb 7.8143 10.0024 2.4122
```

Most intense lines, 10° ≤ 2θ ≤ 90°, in order of rising 2θ:
2theta, I (rel.)
16.18, 61
17.89, 30
24.47, 35
24.75, 51
26.07, 48
28.20, 35
29.30, 100
33.98, 40
43.41, 31
49.85, 31

(3)
For RbBiSbTe3, a crystal structure in Alexandria, relaxed with PBE gives the simulated powder diffraction line list in this record (Cu Kα (weighted mean of Kα1 and Kα2)).
Intensities are scaled so that the largest is 100.
'''
Galesus silvestrii: Risbec 1950: 534, 535, 540. Variation, keyed.
Galesus silvestrii: Risbec 1953: 550. Diagnosis, variation.
Galesus silvestrii: Risbec 1954: 542. Keyed.
Psilus silvestrii: Masner 1965: 38. Type information, generic transfer.
Psilus silvestrii: Sundholm 1970: 325. Variation.
Coptera silvestrii: Johnson 1992: 153. Cataloged.
A detailed description of Coptera silvestrii is provided by Yoder and Wharton (2002).
No referenced distribution records have been added to the database for this OTU.
Identification of Species and Subspecies
The subspecies Coptera silvestrii nigricornis (Nixon, 1930) fits the description of C. silvestrii with the exception of 2 features it shares with C. robustior: the apex of the male fore wing is not emarginate, and the male fore wing is not strongly folded (Nixon 1930, Yoder and Wharton 2002).
Biology / Hosts
The following host records, still in need of confirmation, are reported in Silvestri (1913) and Silvestri (1914):
Collected from Ceratitis anonae Graham infesting “Aberia” (plant identity uncertain), Ceratitis cosyra (Walker) infesting Chrysobalanus ellipticus Sol. ex Sabine (Chrysobalanaceae), and Trirhithrum nigerrimum (Bezzi) infesting coffee.
Cultivated on Ceratitis colae Silvestri, Bactrocera oleae (Rossi), Dacus bivittatus (Bigot), and Ceratitis capitata.
Collected from Ceratitis anonae Graham infesting “Aberia” (plant identity uncertain), Ceratitis cosyra (Walker) infesting Chrysobalanus ellipticus Sol. ex Sabine (Chrysobalanaceae), and Trirhithrum nigerrimum (Bezzi) infesting coffee.
Cultivated on Ceratitis colae Silvestri, Bactrocera oleae (Rossi), Dacus bivittatus (Bigot), and Ceratitis capitata.
The following host records (all confirmed) are reported in Clausen et al. (1965):
Collected from Ceratitis simi Munro infesting Acokanthera schimperi (A.DC.) Schweinf. and from Ceratitis contramedia (Munro) and Dacus spp. infesting Warburgia spp. and cultivated cucurbits, respectively, in Kenya. Also reared from guava infested with Ceratitis rosa Karsch and medfly in South Africa.
Biological Control
Introduced to Hawai’i in 1913 by Silvestri for control of Mediterranean fruit fly (Silvestri 1913).